Today my kids were taken in by Toy Story II, I am so blessed! Hehehehe! I set up the inside blow-up bouncer and put on the movie, they had a great time. I love the times when they can play together and enjoy something that I like as well. One thing I'll do right - show them Disney. Does that make me nuts? Oh well...
It's a nice break from the news on the mess that is going on in the Gulf of Mexico, that's for sure. I hear about it all day, nothing I can do, just listen to how others are helping or hurting the situation. Everyone is pointing fingers - truth is - they should all be pointing at themselves! Pushing further out without a safety plan or way to stop the oil, government regulations not keeping up with the oilfield, etc. I'm not too political, just saying my peace. Then, this lady from Colorado that decided to take a break from blogging about travel and blog about how the Morgan City festival, my hometown, "Shrimp and Petroleum Festival," should be cancelled or should take the petroleum part out of it. Really? Really? What does that accomplish? I looked at few other blogs by her, and none seemed to remotely mirror this one. Why would someone just decide to dump a bunch of unkind words and accusations towards a group of people she doesn't know? Would that be culturism? Cityism? Meanism? Whatever it is, it wasn't pretty. When my hometown heard about it, a flood of insults went back her way. From a couple comments per blog, to hundreds flooded in! Most were working hard to try and explain our culture and heritage, good and bad. Some, well, some, were n-a-s-t-y! I wish they would have given themselves a few moments to calm down and write their feelings about it without ugliness. But, I understand the rage that they all felt, I felt that too! It was really hurtful and mean-spirited the way it was written. She tried to back out, over and over again, but it was there, in computer blog form, for all to see. If someone were to write the same words towards her, she would take offense, but yet she kept defending herself, shameless. Shame on you blog lady, shame on you.
**Next to the piece, the page also holds materials data**
********
(1)
PBE AcY2UO8, relaxed; ΔE_f (raw) = -3.2291 eV/atom
1.0
3.965 -0.026 -0.002
0.037 5.395 -0.006
0.004 0.009 7.821
Ac Y U O
1 2 1 8
Direct
0.000 0.000 0.500
0.500 0.500 0.770
0.500 0.500 0.230
0.000 0.000 0.000
0.000 0.756 0.216
0.500 0.769 0.000
0.000 0.244 0.216
0.000 0.244 0.784
0.500 0.231 0.000
0.000 0.756 0.784
0.500 0.713 0.500
0.500 0.287 0.500

(2)
PBE Ac2UZnO6, relaxed; ΔE_f (raw) = -2.7161 eV/atom
1.0
-3.480 -1.557 4.569
-4.338 -1.996 -3.984
3.467 -7.624 0.044
Ac U Zn O
4 2 2 12
Direct
0.500 0.803 0.235
0.000 0.197 0.735
0.500 0.803 0.765
0.000 0.197 0.265
0.000 0.703 0.500
0.500 0.297 0.000
0.500 0.236 0.500
0.000 0.764 0.000
0.500 0.194 0.256
0.500 0.194 0.744
0.000 0.806 0.244
0.000 0.806 0.756
0.256 0.962 0.500
0.744 0.962 0.500
0.235 0.443 0.500
0.765 0.443 0.500
0.735 0.557 0.000
0.265 0.557 0.000
0.244 0.038 0.000
0.756 0.038 0.000

What is the ΔE_f (raw) in the first record?
-3.2291 eV/atom

ΔE_f (raw) of number 1 (AcY2UO8)?
-3.2291 eV/atom

Look up the ΔE_f (raw) of the second one.
-2.7161 eV/atom

ΔE_f (raw) of number 2 (Ac2UZnO6)?
-2.7161 eV/atom
********
Well, looks like I have opinions of my own, cool. Some people get us here in Morgan City, Louisiana - some don't. We are generally caring people and work hard. The oilfield is a big part of that, and so we celebrate. Of course I would love to see people developing more environmentally friendly products that would help Mother Earth, as well as the local economy in the long run. I remember reading that someone was developing a plant that would turn the bad cooking oil collected in the area, to fuel, but I can't remember exactly, so don't go quoting me.
OK, last, but not least, a cute family story from dinner tonight! We were sitting around the table tonight when one of our twins, Rae (2 years old), got quiet and leaned to the side a bit. After a few seconds a little "poot" came out. I know, I know, that's impolite at the table, but she's only two! The best part was when she did it, she sweetly looked over at her daddy and pointed, then said "take that daddy!" We were laughing our butts off! Tears and all! Wonder where she learned that from....
Thanks for listening, and I'll continue to write as often as I can, hope someone is listening out there!